********
Record 1
Structure and calculated powder X-ray diffraction pattern of Er4Tm6Zr (a PBE-relaxed structure; Cu Kα (weighted mean of Kα1 and Kα2)).

Atomic structure:
Cell: 8.6449 8.6449 8.7246 Å, 90.00 90.00 90.00°
Space group P4/mnc (No. 128)
One atom of each set of equivalent atoms:
Er 0.1463 0.3537 0.2500
Tm 0.0000 0.0000 0.1733
Tm 0.1513 0.6528 0.5000
Zr 0.0000 0.0000 0.5000

Principal peaks in the range 5° ≤ 2θ ≤ 70°, most intense first:
- 30.91°, intensity 100, (2 1 2)
- 32.76°, intensity 57, (3 1 0)
- 61.56°, intensity 22, (5 2 2)
- 48.15°, intensity 11, (4 1 2)
- 53.76°, intensity 11, (3 1 4)
- 69.00°, intensity 10, (2 1 6)
- 62.36°, intensity 10, (3 3 4)
- 41.40°, intensity 9, (0 0 4)
- 38.75°, intensity 9, (2 1 3)
- 60.29°, intensity 9, (4 0 4)
- 47.01°, intensity 9, (4 2 0)
- 29.22°, intensity 8, (2 2 0)

***

Record 2
Structure and calculated powder X-ray diffraction pattern of Er5Tm5Zr (a PBE-relaxed structure; Cu Kα (weighted mean of Kα1 and Kα2)).

Atomic structure:
Cell: 18.3461 5.7771 6.8111 Å, 90.00 111.56 90.00°
Space group C2/m (No. 12)
One atom of each set of equivalent atoms:
Er 0.0000 0.0000 0.0000
Er 0.1284 0.5000 0.1296
Er 0.1758 0.5000 0.6767
Tm 0.0000 0.5000 0.5000
Tm 0.1723 0.0000 0.4316
Tm 0.1726 0.0000 0.9133
Zr 0.0000 0.0000 0.5000

Principal peaks in the range 5° ≤ 2θ ≤ 70°, most intense first:
- 30.95°, intensity 100, (0 2 0)
- 34.34°, intensity 59, (1 1 2)
- 34.45°, intensity 58, (5 1 -2)
- 31.46°, intensity 44, (6 0 0)
- 44.72°, intensity 33, (6 2 0)
- 57.30°, intensity 27, (1 3 2)
- 29.14°, intensity 24, (3 1 1)
- 28.22°, intensity 20, (4 0 -2)
- 63.41°, intensity 18, (4 2 -4)
- 53.85°, intensity 17, (4 0 -4)
- 29.27°, intensity 17, (6 0 -1)
- 37.64°, intensity 13, (5 1 1)

***

Record 3
Structure and calculated powder X-ray diffraction pattern of Er3Tm3Zr (a PBE-relaxed structure; Cu Kα (weighted mean of Kα1 and Kα2)).

Atomic structure:
Cell: 6.0188 6.0212 13.9638 Å, 90.06 102.36 119.94°
Space group P-1 (No. 2)
One atom of each set of equivalent atoms:
Er 0.0663 0.3678 0.1036
Er 0.2643 0.3004 0.8964
Er 0.4043 0.0366 0.1038
Tm 0.1243 0.8967 0.6854
Tm 0.2102 0.7723 0.3148
Tm 0.4603 0.5626 0.6862
Zr 0.3335 0.1676 0.4999

Principal peaks in the range 5° ≤ 2θ ≤ 70°, most intense first:
- 32.55°, intensity 100, (1 1 -3)
- 35.86°, intensity 48, (1 1 2)
- 33.11°, intensity 30, (0 0 5)
- 52.65°, intensity 27, (3 0 -2)
- 56.58°, intensity 23, (-1 2 7)
- 63.61°, intensity 23, (3 0 3)
- 29.67°, intensity 19, (1 1 -1)
- 30.41°, intensity 12, (2 -1 0)
- 45.05°, intensity 12, (1 1 -6)
- 63.27°, intensity 11, (2 2 0)
- 6.53°, intensity 11, (0 0 1)
- 40.07°, intensity 10, (1 -2 4)

***

Record 4
Structure and calculated powder X-ray diffraction pattern of Er2Tm3Zr (a PBE-relaxed structure; Cu Kα (weighted mean of Kα1 and Kα2)).

Atomic structure:
Cell: 6.9195 3.4264 14.5513 Å, 90.00 90.03 90.00°
Space group P2_1/m (No. 11)
One atom of each set of equivalent atoms:
Er 0.1167 0.2500 0.4104
Er 0.3651 0.7500 0.9118
Tm 0.1161 0.2500 0.0900
Tm 0.3652 0.7500 0.5886
Tm 0.3789 0.7500 0.2499
Zr 0.1274 0.2500 0.7501

Principal peaks in the range 5° ≤ 2θ ≤ 70°, most intense first:
- 31.77°, intensity 100, (2 0 3)
- 31.98°, intensity 99, (0 1 3)
- 36.92°, intensity 67, (2 1 0)
- 53.32°, intensity 46, (2 1 6)
- 63.55°, intensity 40, (2 2 3)
- 37.07°, intensity 33, (0 0 6)
- 63.19°, intensity 27, (4 1 3)
- 63.64°, intensity 13, (0 1 9)
- 53.49°, intensity 12, (0 2 0)
- 52.93°, intensity 12, (4 0 0)
- 66.86°, intensity 12, (0 2 6)
- 66.38°, intensity 11, (4 0 6)

***

Record 5
Structure and calculated powder X-ray diffraction pattern of Er4Tm3Zr (a PBE-relaxed structure; Cu Kα (weighted mean of Kα1 and Kα2)).

Atomic structure:
Cell: 3.4637 6.0329 11.6896 Å, 104.92 98.47 90.02°
Space group P-1 (No. 2)
One atom of each set of equivalent atoms:
Er 0.1216 0.2843 0.2415
Er 0.2475 0.7495 0.4957
Tm 0.0000 0.5000 0.0000
Tm 0.3774 0.2054 0.7558
Zr 0.5000 0.0000 0.0000

Principal peaks in the range 5° ≤ 2θ ≤ 70°, most intense first:
********

Work out how many lines further up have the word "Zr" in them; a number is enough.

5